
  • 提问人:同学
  • 向提问
  • 提问时间:2012-05-18 16:35:22




回复时间:2012-05-18 19:26:08

Tuition fees 2012-2013 Which Tuition Fees Will I Need to Pay?

Inholland has two types of student tuition fees: statutory tuition fees or institutional tuition fees. Students eligibility to pay the lower statutory tuition fees must meet three conditions. If you are unable to meed these conditions, you will pay the higher institutional tuition fees.

Statutory Tuition Fees
The following conditions determine eligibility for the payment of statutory tuition fees:

Resident in the Netherlands, Belgium, Luxembourg or in one of the following states forming part of the Federal Republic of Germany: North Rhine-Westphalia, Lower Saxony and Bremen (this residence must be demonstrable), and,
A national of the Netherlands, Surinam or Switzerland or of one of the EEA member states, or falling under one of the groups of individuals stated in Section 2.2(1) of the Student Finance Act 2000 (Wet studiefinanciering 2000), and,
Students may not already have attained a Bachelor or Master's degree after 1 September 1991, for a programme included in the Central Register of Higher Education Study Programmes (Centraal Register Opleidingen Hoger Onderwijs (CROHO)). An exception to this condition will apply for individuals that do already have a degree, but who are now registering for an education or healthcare programme for the first time. These individuals will be eligible for the payment of statutory tuition fees.
If you meet the conditions mentioned above, you will be eligible for the payment of statutory tuition fees. The statutory tuition fees for academic year 2012-2013 (starting on 1 September) will be:

Bachelor/Associate Degree Full-time/cooperative-education € 1,771
Bachelor/Associate Degree Part-time € 1,480
Master Full-time/cooperative-education/part-time € 1,771

Institutional Tuition Fees

These records of crystals were left in the page by mistake:
-- begin --
Entry 1:
For Dy3Er4Tm4, the GGA-PBE geometry in Alexandria gives the computed XRD peak list in this record (Cu Kα X-rays).
Neutral-atom scattering factors, no anomalous dispersion.

a b c (Å): 3.449 5.529 17.865
angles (deg): 81.13 84.48 89.99
Sites, in units of the cell vectors:
Dy (0.000, 0.000, 0.000)
Dy (0.136, 0.636, 0.727)
Dy (0.864, 0.364, 0.273)
Er (0.266, 0.267, 0.467)
Er (0.409, 0.910, 0.181)
Er (0.591, 0.090, 0.819)
Er (0.734, 0.733, 0.533)
Tm (0.320, 0.819, 0.362)
Tm (0.455, 0.455, 0.091)
Tm (0.545, 0.545, 0.909)
Tm (0.680, 0.181, 0.638)

Principal peaks in the range 15° ≤ 2θ ≤ 90°, low angle first:
31.47 deg, I = 26; 32.24 deg, I = 58; 32.37 deg, I = 100; 45.78 deg, I = 19; 57.70 deg, I = 23; 63.59 deg, I = 29

Entry 2:
For Sr3TlPt8, the GGA-PBE geometry in Alexandria gives the computed XRD peak list in this record (Cu Kα X-rays).
Neutral-atom scattering factors, no anomalous dispersion.

a b c (Å): 9.569 9.569 9.569
angles (deg): 33.72 33.72 33.72
Sites, in units of the cell vectors:
Sr (0.000, 0.000, 0.000)
Sr (0.127, 0.127, 0.127)
Sr (0.621, 0.621, 0.621)
Tl (0.499, 0.499, 0.499)
Pt (0.062, 0.062, 0.562)
Pt (0.062, 0.562, 0.062)
Pt (0.064, 0.562, 0.562)
Pt (0.312, 0.312, 0.312)
Pt (0.562, 0.062, 0.062)
Pt (0.562, 0.064, 0.562)
Pt (0.562, 0.562, 0.064)
Pt (0.813, 0.813, 0.813)

Principal peaks in the range 15° ≤ 2θ ≤ 90°, low angle first:
19.62 deg, I = 38; 38.06 deg, I = 100; 38.18 deg, I = 33; 39.81 deg, I = 58; 61.45 deg, I = 33; 67.51 deg, I = 21

Entry 3:
For K2ZrI5, the GGA-PBE geometry in Alexandria gives the computed XRD peak list in this record (Cu Kα X-rays).
Neutral-atom scattering factors, no anomalous dispersion.

a b c (Å): 7.999 7.999 9.013
angles (deg): 55.71 55.71 68.58
Sites, in units of the cell vectors:
K (0.000, 0.000, 0.500)
K (0.500, 0.500, 0.000)
Zr (0.309, 0.309, 0.691)
I (0.018, 0.460, 0.982)
I (0.019, 0.462, 0.538)
I (0.460, 0.018, 0.540)
I (0.462, 0.019, 0.981)
I (0.588, 0.588, 0.412)

Principal peaks in the range 15° ≤ 2θ ≤ 90°, low angle first:
18.35 deg, I = 44; 27.05 deg, I = 100; 28.00 deg, I = 87; 33.69 deg, I = 28; 37.16 deg, I = 35; 42.43 deg, I = 35

Entry 4:
For Si3BPd, the GGA-PBE geometry in Alexandria gives the computed XRD peak list in this record (Cu Kα X-rays).
Neutral-atom scattering factors, no anomalous dispersion.

a b c (Å): 4.108 4.108 4.108
angles (deg): 90.00 90.00 90.00
Sites, in units of the cell vectors:
Si (0.000, 0.000, 0.500)
Si (0.000, 0.500, 0.000)
Si (0.500, 0.000, 0.000)
B (0.000, 0.000, 0.000)
Pd (0.500, 0.500, 0.500)

Principal peaks in the range 15° ≤ 2θ ≤ 90°, low angle first:
21.63 deg, I = 44; 30.78 deg, I = 59; 37.94 deg, I = 100; 44.09 deg, I = 56; 64.12 deg, I = 36; 76.99 deg, I = 37

Entry 5:
For ReRuO4, the GGA-PBE geometry in Alexandria gives the computed XRD peak list in this record (Cu Kα X-rays).
Neutral-atom scattering factors, no anomalous dispersion.

a b c (Å): 5.608 4.829 5.617
angles (deg): 90.00 119.69 90.00
Sites, in units of the cell vectors:
-- stop --

If you do not meet the conditions applicable for statutory tuition fees, you will pay institutional tuition fees.

The institutional tuition fees for academic year 2012-2013 (starting on 1 September) will be

Bachelor/Associate Degree Full-time/cooperative education € 7,169
Bachelor/ Associate Degree Part-time € 6,896
Master Full-time/cooperative-education/part-time € 7,169
If you meet the residence and nationality requirements, but are enrolled for a second Bachelor or Master's degree that you started in academic year 2010-2011 or earlier, a transitional arrangement applies for you.

Administrative Charge
Students that pay their tuition fees in instalments will be subject to a one-off administrative charge of € 24.

Deregistration and Refunds

If you are paying institutional tuition fees and decide to deregister from your programme before the end of the academic year, you will only be eligible for a refund in certain cases. This restriction does not apply when paying statutory tuition fees.

Interim Changes

If you find that you are only able to meet the conditions applicable for the payment of statutory tuition fees later in the year, you will be required to pay institutional tuition fees until this time. Conversely, where you find that you no longer comply with the conditions later in the academic year, (high) institutional tuition fees will apply as of this time.

Where the information we have is incomplete and we find, during the course of the academic year, that you have already attained a degree certificate in the past, for example, your tuition fees will be adjusted.

Second Study
If you are starting a second study with effect from 1 September 2012 before completing your first study, for which you are paying statutory tuition fees.

If you are registered for a study at Inholland and are paying institutional tuition fees and you want to do a second stud

荷兰大学(Holand University)
  • 院校名称:荷兰大学
  • 学校类型:公立大学
  • 建校时间:1986年
  • 学生人数:0人
  • 院校地址:Postbus 287 2980AG RIDDERKERK
  • 中文介绍:http://school.liuxue360.com/nl/holland/
  • 荷兰大学(HolandUniversity)位于阿姆斯特丹近郊的迪曼,是一所高等专业大学,荷兰大学1986年由多所专业院合并而成,该校与荷兰其他大学一样,由政府资助,荷兰教育部...…[详细介绍]


